The Scars of False Fatherhood: Navigating Betrayal, Trauma, and the Unwavering Pursuit of Healing
Fatherhood is often depicted as a journey woven with unconditional love, unwavering support, and the profound joy of nurturing a new life. But for some, the path takes an unexpected detour, leading through a treacherous landscape of betrayal, manipulation, and the agonizing realization that the children you cherished as your own are not biologically yours.
This is my story, a raw and unflinching account of navigating the emotional wreckage of false fatherhood, confronting the lingering trauma of a tumultuous past, and ultimately emerging stronger, wiser, and more determined than ever to create a life of authenticity and purpose.
The Shattered Illusion of Family
The discovery that the children I had loved and nurtured were not my own was a devastating blow, a seismic shift that shattered the foundation of my world. The sense of betrayal, the loss of identity, and the agonizing questions that plagued my mind created a maelstrom of emotions that threatened to consume me.
But amidst the wreckage, a spark of resilience ignited within me. I refused to succumb to the despair, to allow the pain to define my future or extinguish the love I felt for those children, regardless of their biological origins. Instead, I embarked on a journey of healing and self-discovery, a testament to the enduring strength of the human spirit and its capacity to navigate even the most treacherous of paths.
Attached: materials data >
- - -
# 1
The following is a DFT calculation (PBE-GGA) of a relaxed TbNpTl2Se4 crystal.

a = 7.3203 Å, b = 4.2160 Å, c = 8.1290 Å
α = 90.00°, β = 107.44°, γ = 90.00°
With the nearest neighbours (Å) after each atom.
Space group P2/m (No. 10)
Inequivalent atoms, fractional coordinates:
Tb: 0.0000 0.0000 0.0000 x1  6 Se 2.90
Np: 0.5000 0.5000 0.0000 x1  6 Se 2.91-2.93
Tl: 0.0000 0.5000 0.5000 x1  6 Se 3.33-3.34
Tl: 0.5000 0.0000 0.5000 x1  6 Se 3.35
Se: 0.2326 0.5000 0.2054 x2  2 Tb 2.90, 1 Np 2.93
Se: 0.2643 0.0000 0.7957 x2  1 Tb 2.90, 2 Np 2.91

For the formation energy from raw total energies, the calculation gives -26.2 kcal/mol of atoms. As for the crystal system: monoclinic. The value obtained for the density of states at the Fermi level is 0.97 states/eV per atom. Its total magnetization is 4.000 μB per cell.

# 2
The following is a DFT calculation (PBE-GGA) of a relaxed Tb2NpTl3Se6 crystal.

a = 7.3117 Å, b = 12.6615 Å, c = 8.1250 Å
α = 90.00°, β = 107.46°, γ = 90.00°
With the nearest neighbours (Å) after each atom.
Space group C2/m (No. 12)
Inequivalent atoms, fractional coordinates:
Tb: 0.0000 0.1668 0.0000 x4  6 Se 2.90
Np: 0.0000 0.5000 0.0000 x2  6 Se 2.92-2.93
Tl: 0.0000 0.0000 0.5000 x2  6 Se 3.33-3.35
Tl: 0.0000 0.3337 0.5000 x4  6 Se 3.33-3.35
Se: 0.2327 0.0000 0.2051 x4  2 Tb 2.90, 1 Np 2.92
Se: 0.2363 0.3321 0.2053 x8  2 Tb 2.90, 1 Np 2.93

For the formation energy from raw total energies, the calculation gives -28.1 kcal/mol of atoms. As for the crystal system: monoclinic. The value obtained for the density of states at the Fermi level is 0.51 states/eV per atom. Its total magnetization is 8.000 μB per cell.

# 3
The following is a DFT calculation (PBE-GGA) of a relaxed TbTmNp2Se4 crystal.

a = 7.0544 Å, b = 4.0672 Å, c = 7.0854 Å
α = 90.00°, β = 109.31°, γ = 90.00°
With the nearest neighbours (Å) after each atom.
Space group P2/m (No. 10)
Inequivalent atoms, fractional coordinates:
Tb: 0.0000 0.0000 0.0000 x1  6 Se 2.88
Tm: 0.5000 0.5000 0.0000 x1  6 Se 2.85
Np: 0.0000 0.5000 0.5000 x1  6 Se 2.91-2.92
Np: 0.5000 0.0000 0.5000 x1  6 Se 2.89
Se: 0.2519 0.5000 0.2464 x2  1 Tm 2.85, 2 Tb 2.88, 3 Np 2.89-2.91
Se: 0.2553 0.0000 0.7562 x2  2 Tm 2.85, 1 Tb 2.88, 3 Np 2.89-2.92

For the formation energy from raw total energies, the calculation gives -32.5 kcal/mol of atoms. As for the crystal system: monoclinic. The value obtained for the density of states at the Fermi level is 2.34 states/eV per atom. Its total magnetization is 9.124 μB per cell.

# 4
The following is a DFT calculation (PBE-GGA) of a relaxed NpTcSe2 crystal.

a = 3.1236 Å, b = 3.1236 Å, c = 28.0427 Å
α = 90.00°, β = 90.00°, γ = 120.00°
With the nearest neighbours (Å) after each atom.
Space group R-3m (No. 166, hexagonal axes)
Inequivalent atoms, fractional coordinates:
Np: 0.0000 0.0000 0.0000 x3  6 Se 2.91, 6 Np 3.12
Tc: 0.0000 0.0000 0.5000 x3  2 Se 2.39
Se: 0.0000 0.0000 0.4149 x6  1 Tc 2.39
- - -
The materials data stop here >
The Labyrinth of Legal Battles
• Inserted here: materials data:
<<<
1.
A plane-wave DFT calculation with PBE was carried out for a relaxed Y2MgNi crystal.

POSCAR file:
```
Y2MgNi
1.0
3.8835 0.0000 0.0000
-1.9417 3.3632 0.0000
0.0000 0.0000 24.7852
Y Mg Ni
6 3 3
Direct
0.0000 0.0000 0.2279
0.0000 0.0000 0.7721
0.3333 0.6667 0.4388
0.3333 0.6667 0.8945
0.6667 0.3333 0.1055
0.6667 0.3333 0.5612
0.0000 0.0000 0.0000
0.3333 0.6667 0.6667
0.6667 0.3333 0.3333
0.0000 0.0000 0.5000
0.3333 0.6667 0.1667
0.6667 0.3333 0.8333
```

Values from the calculation:
The calculation puts the total moment at 0.00 Bohr magnetons per cell. As for the symmetry: No. 166. The density of states at the Fermi level comes out at 0.769 states/eV per atom. The calculated volume comes out at 27.0 Å³/atom. The formation energy is -0.103 eV per atom.

***

2.
A plane-wave DFT calculation with PBE was carried out for a relaxed Y3MgNi crystal.

POSCAR file:
```
Y3MgNi
1.0
5.2801 0.0000 0.0000
0.0000 5.2801 0.0000
0.0000 0.0000 5.2801
Y Mg Ni
3 1 1
Direct
0.0000 0.0000 0.5000
0.0000 0.5000 0.0000
0.5000 0.0000 0.0000
0.5000 0.5000 0.5000
0.0000 0.0000 0.0000
```

Values from the calculation:
The calculation puts the total moment at 0.00 Bohr magnetons per cell. As for the symmetry: No. 221. The density of states at the Fermi level comes out at 2.267 states/eV per atom. The calculated volume comes out at 29.4 Å³/atom. Its energy above the most stable polymorph in this dataset is 113 meV per atom. The formation energy is -0.051 eV per atom.

***

3.
A plane-wave DFT calculation with PBE was carried out for a relaxed YMg3Ni crystal.

POSCAR file:
```
YMg3Ni
1.0
4.8255 0.0000 0.0000
0.0000 4.8255 0.0000
0.0000 0.0000 4.8255
Y Mg Ni
1 3 1
Direct
0.0000 0.0000 0.0000
0.0000 0.5000 0.5000
0.5000 0.0000 0.5000
0.5000 0.5000 0.0000
0.5000 0.5000 0.5000
```

Values from the calculation:
The calculation puts the total moment at 0.00 Bohr magnetons per cell. As for the symmetry: No. 221. The density of states at the Fermi level comes out at 1.025 states/eV per atom. The calculated volume comes out at 22.5 Å³/atom. Its energy above the most stable polymorph in this dataset is 171 meV per atom. The formation energy is -0.009 eV per atom.

***

4.
A plane-wave DFT calculation with PBE was carried out for a relaxed Y11Mg9Ni4 crystal.

POSCAR file:
```
Y11Mg9Ni4
1.0
7.3238 -11.1183 0.0000
7.3238 11.1183 0.0000
0.0000 0.0000 3.6142
Y Mg Ni
11 9 4
Direct
0.0000 0.0000 0.0000
0.0845 0.4175 0.0000
0.1558 0.8442 0.0000
0.3127 0.3127 0.0000
0.3730 0.6270 0.0000
0.4175 0.0845 0.0000
0.5825 0.9155 0.0000
0.6270 0.3730 0.0000
0.6873 0.6873 0.0000
0.8442 0.1558 0.0000
0.9155 0.5825 0.0000
0.0790 0.2197 0.5000
0.1544 0.6348 0.5000
0.2197 0.0790 0.5000
0.3652 0.8456 0.5000
0.5000 0.5000 0.5000
0.6348 0.1544 0.5000
0.7803 0.9210 0.5000
0.8456 0.3652 0.5000
0.9210 0.7803 0.5000
0.2529 0.4511 0.5000
0.4511 0.2529 0.5000
0.5489 0.7471 0.5000
0.7471 0.5489 0.5000
```

Values from the calculation:
>>>
The legal battles that ensued were a cruel reminder of the injustices that often plague our society. Forced to fight fraudulent child support orders in a name that carried the weight of past traumas and betrayals, I felt my soul being ripped apart, my sense of self eroded by a system that seemed designed to punish rather than protect.
The emotional toll was immense. The constant stress, the financial burden, and the agonizing feeling of powerlessness chipped away at my well-being, leaving me feeling vulnerable and exposed. But through it all, a fire burned within me—a refusal to surrender to the forces that sought to break me.
Lost in a Sea of Strangers
The upheaval of relocation, a necessary measure to protect my identity and safety, thrust me into an unfamiliar environment, a state where I knew no one and felt utterly alone. Forced to navigate this new landscape with a drunk and unreliable companion, my sense of isolation deepened, and the weight of my past traumas grew heavier.
The loss of my remaining friends during this tumultuous period added another layer of grief and isolation. It was a time of profound darkness, where the pain of betrayal and the challenges of rebuilding my life seemed insurmountable. Yet, even in the depths of despair, a flicker of hope remained, a stubborn refusal to allow the darkness to consume me.
The Turning Point: Embracing Therapy and Growth
Therapy became my lifeline, a beacon of light in the midst of the storm. Through the guidance of a skilled therapist, I began to unravel the tangled threads of my past and confront the deep-seated traumas that had haunted me for years. I learned to recognize the patterns of self-sabotage and the unhealthy coping mechanisms that had kept me trapped in a cycle of pain and dysfunction.
The focus on personal growth, on healing the wounds of the past and cultivating a stronger sense of self, became my salvation. I began to understand the root causes of my attraction to toxic relationships—the echoes of past abuse that had shaped my perception of love and connection.
The Revelation of Love
Through therapy and self-reflection, a profound realization emerged: beneath the layers of trauma and the scars of betrayal lay a wellspring of love, a capacity for compassion and connection that had been buried but not extinguished. I began to see that my past experiences, while painful, had not diminished my ability to love; they had simply made me more discerning, more cautious, and more protective of my heart.
This realization marked a pivotal moment, a guiding light that illuminated my journey ahead. I began to attract healthier relationships, to surround myself with individuals who valued authenticity and reciprocated my capacity for love and support. The world, once a source of pain and betrayal, began to reveal its beauty and potential for genuine connection.
The Vigilance of Self-Preservation
While I embrace the power of love and connection, I also remain vigilant, acutely aware of the potential for toxicity to creep back into my life. I've learned to recognize the red flags, to set boundaries, and to protect my emotional well-being with unwavering resolve.
This vigilance is not about cynicism or distrust; it's about self-preservation, about honoring the lessons learned from my past and refusing to allow myself to be victimized again. It's about creating a life where authenticity, respect, and mutual support are the cornerstones of every relationship.
The Unmasking of the Abusers
My journey has also exposed the pervasive nature of toxicity and the chameleon-like ability of abusers to infiltrate every aspect of our lives. From the seemingly innocuous interactions with gas station attendants to the professional relationships with nurses and teachers, I've encountered individuals who, beneath a veneer of normalcy, harbor a darkness that seeks to exploit and manipulate.
These encounters have taught me the importance of discernment, the ability to recognize the subtle signs of toxicity, and to protect myself from those who seek to exploit my vulnerabilities. It's a constant reminder that trauma can attract predators, individuals who prey on our pain and use it to their advantage.
Records of crystals from another source follow =
____________
This record from the Alexandria database describes a relaxed SrZr2Au crystal. The functional is PBE-GGA.

Density of states at the Fermi level (states/eV/f.u.): 4.1
Energy relative to the lowest polymorph listed for this composition (kJ/mol of formula units): 101
Symmetry: No. 8
Crystal system: monoclinic
Total energy (eV/atom): -5.444
ΔE_f (eV/atom): 0.0701

Cell: 5.514 5.514 6.350 Å, 77.84 77.84 35.14°
Fractional positions:
Au: 0.478 0.478 0.538
Sr: 0.231 0.231 0.287
Zr: 0.025 0.025 0.896
Zr: 0.766 0.766 0.778

***

This record from the Alexandria database describes a relaxed NiPdS3 crystal. The functional is PBE-GGA.

Density of states at the Fermi level (states/eV/f.u.): 6.8
Energy relative to the lowest polymorph listed for this composition (kJ/mol of formula units): 497
Symmetry: No. 221
E_form (uncorrected) (kJ/mol of formula units): 451.1
Crystal system: cubic
Total energy (eV/atom): -3.736

Cell: 4.647 4.647 4.647 Å, 90.00 90.00 90.00°
Last column: magnetic moment on the atom in μB.
Fractional positions:
Ni: 0.500 0.500 0.500  1.17
S: 0.000 0.500 0.000  0.35
S: 0.000 0.000 0.500  0.23
S: 0.500 0.000 0.000  0.34
Pd: 0.000 0.000 0.000  0.08

***

This record from the Alexandria database describes a relaxed Li3BiSb2 crystal. The functional is PBE-GGA.

Density of states at the Fermi level (states/eV/f.u.): 1.5
Symmetry: No. 123
E_form (uncorrected) (kJ/mol of formula units): -230.5
Crystal system: tetragonal
Total energy (eV/atom): -3.376

Cell: 3.262 3.262 12.704 Å, 90.00 90.00 90.00°
Fractional positions:
Li: 0.000 0.000 0.000
Li: 0.000 0.000 0.677
Li: 0.000 0.000 0.323
Bi: 0.500 0.500 0.500
Sb: 0.500 0.500 0.836
Sb: 0.500 0.500 0.164

***

This record from the Alexandria database describes a relaxed MgBiF3 crystal. The functional is PBE-GGA.

Density of states at the Fermi level (states/eV/f.u.): 2.6
Energy relative to the lowest polymorph listed for this composition (kJ/mol of formula units): 0
Symmetry: No. 221
E_form (uncorrected) (kJ/mol of formula units): -1084.4
Crystal system: cubic
Total energy (eV/atom): -4.466

Cell: 4.163 4.163 4.163 Å, 90.00 90.00 90.00°
Fractional positions:
Mg: 0.000 0.000 0.000
Bi: 0.500 0.500 0.500
F: 0.000 0.500 0.000
F: 0.000 0.000 0.500
F: 0.500 0.000 0.000

***

This record from the Alexandria database describes a relaxed CePr10Nd6 crystal. The functional is PBE-GGA.

Density of states at the Fermi level (states/eV/f.u.): 30.2
Symmetry: No. 162
Crystal system: trigonal
Total energy (eV/atom): -4.703
ΔE_f (eV/atom): 0.1400

Cell: 7.073 10.017 10.017 Å, 120.00 90.00 90.00°
Last column: magnetic moment on the atom in μB.
Fractional positions:
Ce: 0.500 0.000 0.000  0.83
Pr: 0.810 0.732 0.732  0.00
Pr: 0.810 0.000 0.268  0.00
Pr: 0.810 0.268 0.000  0.00
Pr: 0.190 0.268 0.268  0.00
Pr: 0.190 0.000 0.732  0.00
Pr: 0.190 0.732 0.000  0.00
Pr: 0.500 0.333 0.667  0.01
Pr: 0.500 0.667 0.333  0.01
Pr: 0.000 0.667 0.333  -0.01
Pr: 0.000 0.333 0.667  -0.01
Nd: 0.701 0.376 0.376  0.00
Nd: 0.701 0.000 0.624  0.00
____________
The Path Forward: A Testament to Resilience
My story is not just a tale of overcoming adversity; it's a testament to the resilience of the human spirit, the capacity to heal, to grow, and to create a life of purpose and fulfillment, even in the face of unimaginable challenges. This journey has changed me from being a victim of my circumstances to becoming a champion of my own destiny.
As I continue to navigate the complexities of life and relationships, I carry with me the lessons learned from my past, the scars that remind me of my strength, and the unwavering belief in the power of healing and transformation. It's a journey that has shaped not only who I am but who I am becoming, a testament to the enduring power of the human spirit to rise above adversity and create a life of authenticity, love, and unwavering self-worth.